ment, personality theory, learning theory, and general
educational psychology within psychological founda-
tions; research methodology, computer instruction,
education statistics, and measurement and evaluation
within the research foundations; and social, historical,
and philosophical foundations ,and comparative and
international education within social foundations.

EDF 5215-Principles of Learning and Instructional Practice
(3) Survey of principles of learning and their relationship to in-
structional practice. Includes topics such as transfer of training,
reinforcement, forgetting and problem solving.
EDF 5431-Measurement and Evaluation in Early Childhood
(3) Basic concepts of test construction and interpretation, in-
cluding norms, reliability and validity. Overview of assessment
techniques and problems in assessing intelligence, language,
achievement, socio-emotional and perceptual motordevelop-
ment in children from infancy through six years of age. Students
may not receive credit for both EDF 4430 and EDF 5431.
EDF 6111L-Laboratory in Human Development I (3) Super-
vised field and laboratory experiences in the observation, evalua-
tion, and educational modification of human development. Con-
tact with children of different ages and experience with learn-
ing, measurement, evaluation, and research.
EDF 6112L-Laboratory in Human Development II (3) Prereq:
EDF 6403.
EDF 6113-Educational Psychology: Human Development (3)
Current research and theories in the area of human
EDF 6118-Educational Psychology: Aging (3) Psychological
and social processes in aging; lifelong learning; education for
and about aging.
EDF 6119-Psycho-Social-Educational Aspects of Death and
Dying (3) Attitudes toward death, dying process, funeral prac-
tices, and grieving. Role of education for better understanding
and coping with death.
EDF 6175-Educational Psychology: Adulthood (3) Current
theories and research findings in adulthood, including cognitive
processes, learning abilities, vocational development, leisure,
and various aspects of adult education through the life cycle.
EDF 6211-Educational Psychology: General (3) Basic prin-
ciples, techniques, and research in educational psychology;
designed for graduate students preparing to teach who have
a minimal background in psychology.
EDF 6215-Educational Psychology: Learning Theory (3)
Prereq: consent of instructor: Logic and methodologies of
theories of learning.
EDF 6218-Educational Psychology: Problems (3; max: 12) In-
dividualized study of problems dealing with child development,
adolescence, learning and other areas of educational
EDF 6355-Educational Psychology: Personality Dynamics (3)
Dynamics of behavior and their implications for education,
counseling and guidance, administration, family relationships,
and social action.
EDF 6401-Educational Statistics (3) Primarily for Ed.D. can-
didates. Prereq: EDF 6481 or STA 3013 or 3023. Statistical
methods as applied to educational data and problems,
EDF 6403-Quantitative Foundations of Educational Research
(6) Prereq: STA 3013, 3023, or equivalent. Integrated coverage
of fundamentals in the general field of education research. In-
cludes statistics, experimental design, and data processing.
EDF 6436-Theory of Measurement (4) Prereq: STA 3013 or
3023; EDF 4430. Introductory study of true score models,
reliability, validity, norms, scaling, item analysis, and basic
elements of instrument construction.
EDF 6475-Qualitative Foundations of Educational Research
(4) Introduction to philosophical, historical, sociological, and
other methodologies as aspects of qualitative educational
 EDF 6481-Research Methods in Education (4) Primarily for
 Ed.D. candidates. Examination of methods for problem identifi-
 cation and research designs for data collected in educational
 EDF 6487-Assessment of Classroom Behavior (3) Instruction
 in at least four systems for measuring teacher-pupil behavior,
 representing the social-emotional and cognitive domains. Obser-

ovation practiced in classrooms as well as with audio and
videotape and film.
EDF 6520-History of Education (3) Salient issues in educa-
tion from the Reformation to the present.
EDF 6525-Ancient and Medieval Education (3) Pedagogical
practice and through in China, India, Semitic nations, Greece,
Rome, Islam, and Medieval and Renaissance Europe.
EDF 6544-Philosophical Foundations of Education (3) Philo-
sophical bases for democracy and education.
EDF 6606-Socioeconomic Foundations of Education (3)
SSurvey of the socioeconomic foundations of education.
EDF 6630-Educational Sociology (3) Educational experiments
with the social variables of decision-making systems, task, cur-
riculum, group size, and group social composition.
EDF 6712-Comparative Education (3) Relationships of school
and society in different cultrual areas of the world.
EDF 6720-Education in Latin America (3) Traditions and con-
temporary social, political, and cultural aspects.
EDF 6905-Individual Study (1-3; max: 12) Prereq: consent of
department chairman. For advanced students who wish to study
individual problems in psychological, social, or philosophical
foundations of education, or research or measurement under
faculty guidance.
EDF 6910-Supervised Research (1-5; max: 5) Prereq: consent
of department chairman. S/U.
EDF 6933-Seminar on Research on Effective Teaching (3)
Systematic observation as a frame of reference for recording,
analyzing, and conceptualizing teaching; research results; impli-
cations for teaching and learning.
EDF 6938-Special Topics (1-3; max: 12) Prereq: consent of
department chairman.
EDF 6940-Supervised Teaching (1-5; max: 5) Prereq: consent
of department chairman. S/U.
EDF 6941-Practicum in Educational Research (2-9; max: 9)
Prereq: EDF 6403. Arrangements must be made with instruc-
tor prior to registration. Experience in conducting various phases
of quantitative or qualitative educational research under indi-
vidual supervision.
EDF 6943-Practicum in Educational Psychology (3; max: 12)
Prereq: consent of instructor. Supervised experience in a prac-
tical work situation dealing with problems and issues appropriate
to psychological foundations and theit resolution.
Arrangement 1

19
Properties=species:S:1:pos:R:3:mulliken_charge:R:1 method="wB97M-V/def2-TZVPD" total_charge=+1
C -0.10198 2.10580 2.76402 -0.64
N 0.61461 1.60857 1.53984 -0.36
H -0.99993 1.38470 3.03087 0.29
H -0.51099 3.21193 2.75269 0.31
H 0.69447 1.88051 3.45593 0.30
H 0.83725 2.31634 0.73400 0.41
H 1.53365 1.20626 1.90104 0.42
H 0.05553 0.85761 1.17534 0.23
C 0.89521 -1.46574 -2.20416 -1.05
C -0.06942 -1.72335 -1.06500 -0.07
C -1.37097 -0.81478 -1.34820 -0.96
H 1.55100 -0.56529 -2.25244 0.29
H 1.70048 -2.34608 -2.15167 0.27
H 0.35675 -1.54485 -3.09087 0.32
H -0.33614 -2.81045 -1.00462 0.29
H 0.35134 -1.42729 -0.02968 0.12
H -1.78940 -0.99389 -2.38494 0.38
H -1.17902 0.32995 -1.14664 0.17
H -2.23243 -1.20994 -0.67552 0.28

Arrangement 2

19
Properties=species:S:1:pos:R:3:mulliken_charge:R:1 method="wB97M-V/def2-TZVPD" total_charge=+1
C 1.67140 0.28786 1.80355 -0.35
C 0.56327 -0.83654 1.58973 -0.80
N 1.69628 1.26509 0.67356 -0.38
H 1.50557 0.80427 2.78500 0.32
H 2.65639 -0.12001 1.74776 0.33
H -0.29425 -0.76539 0.80179 0.17
H -0.11765 -0.91609 2.47133 0.31
H 0.94584 1.95351 0.82183 0.36
H 2.49841 1.89282 0.63047 0.37
H 1.63994 0.84790 -0.32530 0.35
H 1.04133 -1.84699 1.33360 0.30
C -2.49208 0.20638 -1.88280 -0.59
C -1.48880 -0.94724 -2.06668 -0.72
H -3.21323 -0.21575 -1.14954 0.23
H -1.84222 0.71766 -1.32908 0.13
H -2.70090 0.43308 -2.93570 0.34
H -1.68389 -1.86590 -1.49317 0.27
H -1.45613 -1.22858 -3.08476 0.32
H -0.37595 -0.80888 -1.65188 0.05

Arrangement 3

19
Properties=species:S:1:pos:R:3:mulliken_charge:R:1 method="wB97M-V/def2-TZVPD" total_charge=+1
C -0.23528 1.49748 1.19520 -0.20
C -0.60870 2.80066 0.39673 -1.11
N -1.05053 0.45103 0.38036 -0.40
H 0.83833 1.23089 1.30091 0.35
H -0.75567 1.51690 2.25587 0.31
H 0.27373 3.41337 0.19332 0.28
H -1.12013 3.40572 1.13850 0.32
H -0.36941 -0.08131 -0.24859 0.13
H -1.61185 -0.17323 1.16566 0.43
H -1.74884 1.05478 -0.23300 0.39
H -1.31869 2.84294 -0.44926 0.40
C 1.44562 -1.64776 -1.01447 -0.73
C 0.54165 -2.82288 -0.72019 -0.80
H 1.45889 -0.81885 -0.29486 0.14
H 2.43086 -2.14031 -1.10917 0.30
H 1.17489 -1.07149 -1.96047 0.31
H -0.61737 -2.61295 -0.84043 0.25
H 0.60854 -3.14942 0.30242 0.30
H 0.66395 -3.69558 -1.45852 0.30

Question: which arrangement is favored energetically? Ranking from most to least stable: arrangement 3, arrangement 1, arrangement 2.

Arrangement 1

21
Properties=species:S:1:pos:R:3:mulliken_charge:R:1 method="wB97M-V/def2-TZVPD" total_charge=+1
C -0.96463 -0.85109 1.05478 -0.91
C -0.99705 -1.63627 -0.91542 -0.72
C 0.04008 -0.98169 -0.05383 0.00
C 0.55036 2.67631 1.26226 -0.71
C 2.03837 0.40277 -1.66765 -1.05
N 1.24340 1.70826 0.50446 -0.36
N -2.07717 -1.32078 0.09379 -0.12
S 0.58190 0.86485 -0.64049 0.25
H -0.95091 -1.46383 1.88601 0.36
H -1.09837 0.02724 1.50759 0.37
H -1.11793 -1.13839 -1.79667 0.42
H -0.66464 -2.67833 -0.99677 0.29
H 0.97988 -1.47307 0.35677 0.48
H -0.14195 3.11260 0.61497 0.37
H 1.47947 3.28936 1.57433 0.26
H 0.07873 2.36669 2.27086 0.20
The molecular data stop here >
EDF 6971-Research for Master's Thesis (1-15) S/U.
EDF 7117-Affective Development and Education (3) Prereq:
EDF 6113 or equivalent. Application of theory and research in
affective development to the educational context.
 EDF 7146-Educational Psychology: Cognition in the Educative
 Process (3) Prereq: EDF 6113. Cognitive development as applied
 to curriculum development and teaching procedures.
 EDF 7149-Self-Concept Theory and its Application to Educa-
 tion (3) An in-depth examination of self-concept theory,in-
 cluding basic principles, research, and applications in educa-
 tional settings.
 EDF 7186-Educational Psychology: Advanced Seminar in
 Aging (3) Prereq: EDF 6118 or consent of instructor. Research
 literature on aging process; implications for education planning;
 critical examination of existing programs.
 EDF 7229-Advanced Educational Psychology: Learning (3;
 max: 12) Prereq: EDF 6215. Educational implications of con-
 temporary approaches to learning. Relationship between topics
 in learning and their implication for instructional practices.
 EDF 7405-Advanced Quantitative Foundations of Educational
 Research (4; max: 8) Prereq: EDF 6403. Integrated coverage
 of important approaches to educational research. Includes appli-
 cation of experimental design, regression analysis, and computer
 processing to selected educational research problems.
 EDF 7432-Advanced Psychometric Theory (3) Prereq: EDF
 6436 or equivalent. Study of theoretical problems related to test
 construction. Topics include current developments in reliability
 and validity estimation; alternate true-score models; item analysis
 and scoring techniques, scaling, assessing latent traits, and
 methods for psychometric research.
 EDF 7486-Methods of Educational Research (3) Prereq: STA
 3013 or 3023. Primarily for Ed.D. candidates. Examination of
 research methodologies. Problem identification as well as
 organization and presentation of data.
 EDF 7491-Evaluation of Educational Products and Systems